I drink regularly at university (socially) to an extreme point, where I would be drinking over 1000cal a night two to three times a week. Yes, it does hinder weight loss quite significantly but I made an effort to be particularly good with food when I knew I was going to be drinking on the day and the day after, and made…
Body dysmorphia. I'm the same, people tell me I'm too thin and I think I'm still "fat", and the thing is, it seems to get worse with the more weight I lose. The only way I've genuinely got over it was when I stopped caring about my weight - and then I ended up gaining a lot, until I realised when I compared to everyone…
People saying anytime is a good time to quit smoking clearly have never had a cigarette in their lives. Personally I put on a stone when I gave up first time around - and that was using nicotine gum. It was the hardest habit to kick, and it still isn't gone. I still smoke periodically, but I know now I'm not physically…
I haven't got any specific recipes but perhaps getting a slow cooker is a good idea - you can prepare all the ingredients for each day in advance to keep in the freezer or fridge, and then quickly throw them in every morning before you leave the house. My mother does this when she's busy, making stuff from chilli con carne…
The only way you can really estimate it is by calculating TDEE calories by a good calculator - live off that for a week to a month, and if they are too low and you lose it's possible you have a faster than average metabolism - but these always have to be taken with a pinch of salt, there are a lot of other factors which…
A vast increase in unwanted attention and sexual comments. This is the one thing that makes me wish I'd never lost weight.
Congratulations on losing 10lbs :) Now ask yourself why you have done that? Is it for yourself or for your boyfriend and future boyfriends? It should be the former, and therefore not matter what guys think of how you look. Anyone worth going out with won't care what your stomach looks like, and as your current boyfriend…
If you can't help yourself, get rid of them. You're setting yourself up nicely for failure or an obsession with numbers. I personally don't have a set because of the latter, and I weigh myself every 2 weeks to 3 months depending on when I get access to a set (at a relative's house, the doctor's etc).
Next to the text, the page also holds data records:
/*
## Pb4ICl2 (GGA-PBE)

Data for an optimized crystal structure of Pb4ICl2.

raw total energy = -2.803 eV per atom
E_form (uncorrected) = 0.065 eV/atom

a b c (Å): 6.082 6.082 15.368
angles (deg): 90.00 90.00 90.00
Space group I4/mmm (No. 139)
Unique sites:
Pb: 0.000 0.000 0.225 [4 per cell]
Pb: 0.000 0.500 0.000 [4 per cell]
I: 0.000 0.000 0.000 [2 per cell]
Cl: 0.000 0.000 0.402 [4 per cell]
*/
End of the data records:
That's a good question, and I think as long as you are a healthy weight it's purely a matter of opinion - for example, some of my friends say I look great, others say I've lost too much weight. I'm 5'8 and around 130 (I don't weigh myself often so this is a guesstimate based on my last weigh in and how much I theoretically…
If you can't exercise self restraint over chocolate, then you have to stop buying it - full stop. I'm like this with cakes. I've been a cake fiend the last few days if you look at my diary (I HAD TWO WEDNESDAY!), but I'm at maintenance atm so I can fit it in. But whilst I was losing I cut this out by removing the…
Every type of Lindt under the sun, from the standard milk chocolate you get for Easter bunnies to the Salted Caramel dark... If it's not Lindt, it's usually not worth the calories! Though I did come across this brand called Butlers in Ireland, the white berry one is amazing.
It depends which one you're on - I'm on the combined pill (Microgynon) and have been for around 7 years, it certainly filled me out in the hips and bust when I first went on it but other than that nothing abnormal. My weight has fluctuated a lot over those years but that is a result of lifestyle choices.
The one thing I'm going to tell you is do not focus on numbers. It's possible that you got into the position you're at because of obsession with numbers and quantity. I found that I had when I had problems several years ago that was the biggest battle - you need to start telling yourself the numbers don't matter and don't…
Eat some cake... I sure wish I struggled to meet my target every day! Anyway, seriously: Stop eating low fat foods for one, it's not helpful to your weight loss whatsoever. Eggs. Lean meat. Lentils. Nuts, nuts and more nuts. Cheese. Or some yoghurt if you fancy something sweet. Calorie dense, tasty and good protein…
I did so during exam period (needed food all day for studying), the post exam period (I was drinking a lot to celebrate then went away to Rome so ate my body weight in Pizza (and drank it again in wine) ) and the next one is coming when I head to Venice and Croatia in a few weeks. I think the main thing that throws people…
5'8, maintaining/losing very slowly at around 130-131 lbs atm. Not sure whether to go lower or a bit higher (people keep telling me I've got too skinny) but I'm just gonna see where the next few months take me without drastic changes.
I always go by looking at the packaging weight and guesstimating by the amount I use. I sometimes measure if it's hard to guess but it's such a long process if you're using a lot of ingredients. I've lost around 20lbs which works out at over 10% of my body mass this way. You don't have to use scales as long as you are…
5'8 and going for 130, may lose a little more but a lot of people are telling me I'm getting too skinny for my frame - 110 is far, far too low for you. I would go for maybe 150 if I was your height and just see how you feel then? Losing another 20lbs looks a lot for someone who is already at a healthy weight. I've lost…
I'm no expert in any of this but these are my general observations based upon my personal experience. I do stick to it. I've lost just short of 20lbs since January, though I haven't been strict with myself at times I've always stuck to it, slow progress is better than none at all. I do tend to eat below my allowance though…
I cut out them all for a whole month, I just stopped buying them and found I actually didn't miss them that much. It's not necessary though, just exercise restraint and don't eat sandwiches, pasta etc every day. As for protein - proper yoghurt (greek etc), cheese, eggs, some cereals, seeds, nuts - make sure you get a solid…
Do a lot of yoga and drink a lot of green tea. Worked for me, got rid of most of it within a month of incorporating both on a daily basis and I wasn't even trying to get rid of it... I did some research when I noticed a massive difference and both are supposed to have a positive effect on cellulite visibility. I have very…
I got would consume 1,500+ cals a night in alcohol when I went out drinking the last couple of terms, sometimes 2-3 times a week. I still lost almost 20lbs. It just comes off slower. If it makes you feel better, make a big effort to eat clean that day and/or exercise when you're planning on drinking, and then again the day…
I used to have one several years ago, and sometimes I struggle now with obsessing over my weight, calories, allowing myself to treat myself etc. Atm I'm dealing with the struggle that comes with maintenance - I know I need to eat more because I'm still losing weight but I'm afraid to because I might put it back on again. I…
£15-20 a week excluding alcohol. I can't believe how much some people spend, what do you buy?! Or is food just a lot more expensive in the US?
132lbs, UK size 10 so US 6 (I think?)
I would say don't change eating habits too quickly. If you go from all processed food straight to salads it's going to be really hard, and because of that you're more likely to become discouraged and give up. Try cutting portions down gradually (do this by starting off your weight loss goals on a low loss and transition to…
Your BMI is on the lower end, so you don't need to lose any weight - you just need to tone up. Eat more protein in your diet with lots of fruit and vegetables. Walk everywhere. Do yoga for at least 15 minutes a day. You can do it in the privacy of your own room for completely free and do it whenever you can fit it in. It's…
I don't have much time for lunch either, I tend to only be able to fit a bowl of cereal in at breakfast and then I have snacks throughout the late morning and afternoon before having a big dinner. I tend to eat granola for breakfast which has a fair amount of protein in for cereal, and found peanuts, pistachios and yoghurt…
You can do as much exercise as you want, but if you continue old eating habits you won't get very far. Your calorie and macro content is far more important than working out every single day, and at the weight you are currently I don't think you will be able to do that much to start off with - I weigh less than your goal…
I don't see why it would be a problem for you to ask your parents to buy you unproccessed healthier foods instead of buying an extra portion of unhealthy stuff which probably works out more expensive (it would here in the UK anyway). Go shopping with them and choose things you know you want and go from there and then there…